Brexit hardliners resist pleas to vote for May’s deal

May commands a wafer-thin majority in parliament, and with opposition parties promising to vote the deal down, she cannot afford to lose more than a handful of her own MPs May commands a wafer-thin majority in parliament, and with opposition parties promi
May commands a wafer-thin majority in parliament, and with opposition parties promising to vote the deal down, she cannot afford to lose more than a handful of her own MPs May commands a wafer-thin majority in parliament, and with opposition parties promi
AFP, London :
Conservative Brexiteers, having spent their entire careers railing against the European Union, are resisting pleas from Theresa May to support her deal and could try to unseat her in the aftermath of next week’s vote.
The prime minister has already survived a half-hearted coup from the EU’s most ardent opponents, the party’s so-called European Research Group (ERG), but will be under severe pressure if her deal is sunk as seems likely.
She commands a wafer-thin majority in parliament, and with opposition parties promising to vote the deal down, she cannot afford to lose more than a handful of her own MPs. But around 100 have so far said they are opposed to the agreement, throwing the whole process into chaos with less than four months to go before Britain leaves the EU.
### Misplaced calculated molecules
┌──
The following is a DFT calculation (ωB97M-V/def2-TZVPD) of a molecular structure, C33H35Cl5O5PS4SiTi in a non-equilibrium geometry.

Atoms and positions in Å:
H  2.234  1.832  -3.944
C  0.942  -3.458  -0.067
C  -5.882  -2.152  0.765
P  -2.629  -1.260  -1.596
H  -6.464  1.315  -4.925
C  -2.002  -3.209  -3.472
C  -4.301  -1.073  2.207
S  1.957  -1.784  1.907
O  -1.463  0.870  0.671
C  -5.048  1.495  -3.323
Ti  0.403  0.154  0.162
C  -2.469  -2.980  -2.177
H  -1.878  -2.378  -4.158
S  -1.842  -0.294  1.554
H  -3.571  1.378  -1.776
H  2.271  3.000  -2.619
O  1.129  1.142  1.511
C  1.144  2.243  2.271
H  4.304  -1.907  2.397
C  3.663  -1.206  1.861
S  3.189  0.142  -0.528
O  -0.769  -1.264  1.107
Si  0.040  1.829  -2.796
H  -2.967  -3.910  -0.301
C  1.225  3.139  4.522
O  0.381  0.868  -1.435
C  1.166  3.537  1.770
S  0.814  -2.095  -1.246
C  -4.547  -1.207  -3.727
C  -2.604  -4.062  -1.311
H  -4.368  -2.263  -3.886
O  -1.856  -0.006  2.945
H  -5.276  -2.426  -1.267
C  -5.733  0.803  -4.313
H  -0.063  -0.308  -4.027
H  -1.667  2.837  -1.334
C  -3.850  -0.518  -2.739
H  -1.342  -4.654  -4.906
H  4.377  -1.886  -0.073
C  1.642  2.570  -3.397
C  3.103  -0.740  -2.098
H  -0.036  -3.472  0.411
H  5.213  -0.484  0.564
H  -5.245  2.546  -3.157
H  -0.294  1.070  -5.104
H  -6.236  -1.723  2.840
H  3.035  -3.408  0.511
C  1.217  2.055  3.655
H  -0.774  4.089  -2.192
C  1.174  4.633  2.632
C  -1.826  -5.565  -3.022
H  2.531  -0.073  -2.742
C  -3.743  -1.456  -0.138
H  4.102  -0.826  -2.526
H  -6.015  -1.088  -5.282
H  3.071  -2.827  -1.499
C  -3.415  -0.977  1.135
C  -2.284  -5.347  -1.732
C  -1.690  -4.492  -3.894
H  2.316  -2.498  -3.046
Cl  1.278  2.880  6.215
C  -4.993  -2.048  -0.292
Cl  1.174  5.782  5.073
H  1.407  3.367  -4.108
C  1.188  4.437  4.011
C  -5.542  -1.656  2.014
C  -0.555  0.665  -4.124
H  -6.846  -2.620  0.612
H  3.639  -0.283  2.443
C  -1.221  3.099  -2.293
C  2.448  -2.113  -2.034
C  2.051  -3.334  0.971
H  -2.406  -6.180  -1.051
H  -4.015  -0.690  3.174
C  -4.106  0.838  -2.548
H  -1.587  -6.568  -3.353
H  1.965  -4.169  1.667
C  -5.480  -0.545  -4.514
H  -2.018  3.160  -3.036
H  1.043  -4.386  -0.632
Cl  1.295  0.444  4.248
Cl  1.234  3.766  0.071
Cl  1.172  6.223  1.990
C  4.234  -0.953  0.470
H  -1.636  0.506  -4.102

net charge: +1
2S+1: 1

The following is a DFT calculation (ωB97M-V/def2-TZVPD) of 14 unconnected molecules or ions with the total composition C48H134N10O18 in a non-equilibrium geometry.

Atoms and positions in Å:
H  1.281  18.761  2.417
H  2.848  13.833  15.372
H  13.628  24.331  19.974
O  13.557  8.596  10.319
H  3.421  14.093  10.450
C  2.179  13.487  14.585
H  14.496  15.889  4.817
C  14.384  15.135  5.597
H  18.159  19.210  8.033
C  17.149  20.807  9.121
C  8.557  29.011  8.979
N  11.008  13.362  2.639
H  14.527  15.417  11.270
H  12.403  16.899  19.778
H  18.826  21.495  17.971
H  18.034  19.054  9.795
H  17.048  21.467  8.260
H  9.605  29.266  9.139
H  8.935  12.735  17.799
O  13.160  17.004  11.290
└──
Their concerns have deepened after government legal advice revealed a risk that Britain could end up indefinitely stuck in an awkward customs arrangement with the European Union, with Northern Ireland as a separate economic entity.
May has tried to win them over, acknowledging on Wednesday the “concerns” raised by fellow Conservatives.
“I’m continuing to listen to colleagues on that and considering a way forward,” she told MPs.
Brexiteers have also appeared unconcerned by her warnings that if they vote against the agreement on Tuesday Britain may not end up leaving the EU.
The ERG fell short of securing the 48 letters needed from MPs to trigger a no-confidence vote, but following a defeat for May in parliament next week they could have more luck. The group was originally set up in 1993 to oppose Britain’s continued integration into the European Community through the Maastricht Treaty.
Many of its key players are veterans of that battle and are ideologically bent on leaving the EU at almost any personal or political price, having already helped bring down then prime minister John Major over the issue.
“They put leaving the European Union probably above everything else, including party loyalty,” said Nick Wright, teaching fellow in EU Politics at University College London.
“They just want to get us to the 29th of March and they don’t care if there’s a no-deal-once we’re out we’re out.”
Among this group, nicknamed the “Paleosceptics” by journalist Tim Shipman in his Brexit book “All Out War”, are former Tory party leader Iain Duncan-Smith, Bernard Jenkin, Owen Paterson, Bill Cash and Peter Bone.
They formed the backbone of the official Leave campaign during the 2016 referendum, but ran into frequent conflict with its combative leader Dominic Cummings.
“His narrative was that the eurosceptics were completely incompetent and their image was hopeless,” Jenkin told Shipman, with Cummings believing them to be naive and obsessed with “constitutional abstractions”.
Fellow Conservative MP Jacob Rees-Mogg took over leadership of the group after it was relaunched in 2016 to lobby for Britain to leave all of the EU’s institutions as part of a deal.
